-- To do --
Now echo the data further below from the line with "DOS(E_F): 6.245" to the end exactly.

-- Contents --
=====
Record 1
Entry from the Alexandria database: a relaxed structure of YVRh2 (PBE-GGA). Values from VASP.

```
&SYSTEM
  ibrav = 0, nat = 4, ntyp = 3
/
ATOMIC_SPECIES
Y 88.91 Y.upf
V 50.94 V.upf
Rh 102.91 Rh.upf
CELL_PARAMETERS angstrom
0.000 3.254 3.254
3.254 0.000 3.254
3.254 3.254 0.000
ATOMIC_POSITIONS angstrom
Y 3.254 3.254 3.254
V 0.000 0.000 0.000
Rh 4.882 4.882 4.882
Rh 1.627 1.627 1.627
```

Properties
* distance to the lowest polymorph of the same formula: 115.1 meV per atom
* DOS(E_F): 6.245 states/eV/f.u.
* space-group type: Fm-3m, No. 225
* ΔE_f: -347 meV per atom

Record 2
Entry from the Alexandria database: a relaxed structure of YV2Rh2 (PBE-GGA). Values from VASP.

```
&SYSTEM
  ibrav = 0, nat = 5, ntyp = 3
/
ATOMIC_SPECIES
Rh 102.91 Rh.upf
V 50.94 V.upf
Y 88.91 Y.upf
CELL_PARAMETERS angstrom
4.217 0.000 0.000
0.000 4.217 0.000
2.109 2.109 5.071
ATOMIC_POSITIONS angstrom
Rh 4.217 4.217 3.753
V 2.109 4.217 2.535
V 4.217 2.109 2.535
Rh 2.109 2.109 1.318
Y 0.000 0.000 0.000
```

Properties
* distance to the lowest polymorph of the same formula: 0.0 meV per atom
* DOS(E_F): 3.702 states/eV/f.u.
* space-group type: I4/mmm, No. 139
* ΔE_f: -390 meV per atom

Record 3
Entry from the Alexandria database: a relaxed structure of YVRh (PBE-GGA). Values from VASP.

```
&SYSTEM
  ibrav = 0, nat = 12, ntyp = 3
/
ATOMIC_SPECIES
V 50.94 V.upf
Y 88.91 Y.upf
Rh 102.91 Rh.upf
CELL_PARAMETERS angstrom
-1.438 -3.904 -3.724
-3.339 -2.559 3.971
-7.247 2.815 -0.154
ATOMIC_POSITIONS angstrom
V -3.854 -2.951 -2.891
Y -6.000 -2.513 1.736
Y -7.569 1.220 0.671
Y -6.023 -1.135 -1.643
Rh -10.286 -0.789 1.645
V -3.286 -1.938 0.014
Rh -1.738 -2.859 -1.552
V -8.169 -0.697 2.985
Rh -4.629 0.071 0.679
V -8.737 -1.710 0.079
Y -4.454 -4.868 -0.578
Rh -7.395 -3.719 -0.586
```

Properties
* DOS(E_F): 3.563 states/eV/f.u.
* space-group type: P2_1/c, No. 14
* ΔE_f: -333 meV per atom

What is the DOS(E_F) in the first record? 6.245 states/eV/f.u.

Among the records above, which one has the highest DOS(E_F)? YVRh2

----------

[1]
# PmDy3Ho2Er6

A relaxed PmDy3Ho2Er6 crystal (PBE, Alexandria).

a = 6.1143 Å, b = 10.5794 Å, c = 11.6852 Å
α = 90.00°, β = 100.00°, γ = 90.00°
With the nearest neighbours (Å) after each atom.
Space group C2/m (No. 12)
Inequivalent atoms, fractional coordinates:
Pm  0.0000  0.0000  0.0000 [2 per cell]  6 Ho 3.53, 6 Er 3.53-3.54
Dy  0.0000  0.1669  0.5000 [4 per cell]  6 Er 3.51-3.52, 6 Dy 3.52-3.53
Dy  0.0000  0.5000  0.5000 [2 per cell]  6 Er 3.52, 6 Dy 3.52-3.53
Ho  0.0000  0.3333  0.0000 [4 per cell]  3 Pm 3.53, 3 Ho 3.53, 6 Er 3.53
Er  0.2489  0.3331  0.7492 [8 per cell]  3 Dy 3.51-3.52, 6 Er 3.52-3.53, 2 Ho 3.53, 1 Pm 3.54
Er  0.2498  0.0000  0.7494 [4 per cell]  3 Dy 3.52, 6 Er 3.52-3.53, 1 Pm 3.53, 2 Ho 3.53

* size of the total moment: 0.0 Bohr magnetons per cell
* formation energy: 0.02 eV/atom
* raw total energy: -109.7 eV for the cell shown

=====

[2]
# Nd3SbBr3

A relaxed Nd3SbBr3 crystal (PBE, Alexandria).

a = 7.4234 Å, b = 7.4234 Å, c = 32.6441 Å
α = 90.00°, β = 90.00°, γ = 120.00°
With the nearest neighbours (Å) after each atom.
Space group R-3 (No. 148, hexagonal axes)
Inequivalent atoms, fractional coordinates:
Nd  0.0000  0.3298  0.0541 [18 per cell]  2 Sb 3.05, 3 Br 3.06
Sb  0.0000  0.0000  0.3333 [6 per cell]  6 Nd 3.05
Br  0.0000  0.3364  0.8909 [18 per cell]  3 Nd 3.06

* formation energy (no corrections): -1.39 eV/atom
* size of the total moment: 0.0 Bohr magnetons per cell
* raw total energy: -199.0 eV for the cell shown

=====

[3]
# Tl2BiPd

A relaxed Tl2BiPd crystal (PBE, Alexandria).

a = 3.3539 Å, b = 3.3539 Å, c = 34.2067 Å
α = 90.00°, β = 90.00°, γ = 120.00°
With the nearest neighbours (Å) after each atom.
Space group R-3m (No. 166, hexagonal axes)
Inequivalent atoms, fractional coordinates:
Tl  0.0000  0.0000  0.0788 [6 per cell]  1 Pd 2.69
Bi  0.0000  0.0000  0.5000 [3 per cell]  6 Bi 3.35, 6 Tl 3.58
Pd  0.0000  0.0000  0.0000 [3 per cell]  2 Tl 2.69
=====

-- Completed --
* DOS(E_F): 6.245 states/eV/f.u.
* space-group type: Fm-3m, No. 225
* ΔE_f: -347 meV per atom

Record 2
Entry from the Alexandria database: a relaxed structure of YV2Rh2 (PBE-GGA). Values from VASP.

```
&SYSTEM
  ibrav = 0, nat = 5, ntyp = 3
/
ATOMIC_SPECIES
Rh 102.91 Rh.upf
V 50.94 V.upf
Y 88.91 Y.upf
CELL_PARAMETERS angstrom
4.217 0.000 0.000
0.000 4.217 0.000
2.109 2.109 5.071
ATOMIC_POSITIONS angstrom
Rh 4.217 4.217 3.753
V 2.109 4.217 2.535
V 4.217 2.109 2.535
Rh 2.109 2.109 1.318
Y 0.000 0.000 0.000
```

Properties
* distance to the lowest polymorph of the same formula: 0.0 meV per atom
* DOS(E_F): 3.702 states/eV/f.u.
* space-group type: I4/mmm, No. 139
* ΔE_f: -390 meV per atom

Record 3
Entry from the Alexandria database: a relaxed structure of YVRh (PBE-GGA). Values from VASP.

```
&SYSTEM
  ibrav = 0, nat = 12, ntyp = 3
/
ATOMIC_SPECIES
V 50.94 V.upf
Y 88.91 Y.upf
Rh 102.91 Rh.upf
CELL_PARAMETERS angstrom
-1.438 -3.904 -3.724
-3.339 -2.559 3.971
-7.247 2.815 -0.154
ATOMIC_POSITIONS angstrom
V -3.854 -2.951 -2.891
Y -6.000 -2.513 1.736
Y -7.569 1.220 0.671
Y -6.023 -1.135 -1.643
Rh -10.286 -0.789 1.645
V -3.286 -1.938 0.014
Rh -1.738 -2.859 -1.552
V -8.169 -0.697 2.985
Rh -4.629 0.071 0.679
V -8.737 -1.710 0.079
Y -4.454 -4.868 -0.578
Rh -7.395 -3.719 -0.586
```

Properties
* DOS(E_F): 3.563 states/eV/f.u.
* space-group type: P2_1/c, No. 14
* ΔE_f: -333 meV per atom

What is the DOS(E_F) in the first record? 6.245 states/eV/f.u.

Among the records above, which one has the highest DOS(E_F)? YVRh2

----------

[1]
# PmDy3Ho2Er6

A relaxed PmDy3Ho2Er6 crystal (PBE, Alexandria).

a = 6.1143 Å, b = 10.5794 Å, c = 11.6852 Å
α = 90.00°, β = 100.00°, γ = 90.00°
With the nearest neighbours (Å) after each atom.
Space group C2/m (No. 12)
Inequivalent atoms, fractional coordinates:
Pm  0.0000  0.0000  0.0000 [2 per cell]  6 Ho 3.53, 6 Er 3.53-3.54
Dy  0.0000  0.1669  0.5000 [4 per cell]  6 Er 3.51-3.52, 6 Dy 3.52-3.53
Dy  0.0000  0.5000  0.5000 [2 per cell]  6 Er 3.52, 6 Dy 3.52-3.53
Ho  0.0000  0.3333  0.0000 [4 per cell]  3 Pm 3.53, 3 Ho 3.53, 6 Er 3.53
Er  0.2489  0.3331  0.7492 [8 per cell]  3 Dy 3.51-3.52, 6 Er 3.52-3.53, 2 Ho 3.53, 1 Pm 3.54
Er  0.2498  0.0000  0.7494 [4 per cell]  3 Dy 3.52, 6 Er 3.52-3.53, 1 Pm 3.53, 2 Ho 3.53

* size of the total moment: 0.0 Bohr magnetons per cell
* formation energy: 0.02 eV/atom
* raw total energy: -109.7 eV for the cell shown

=====

[2]
# Nd3SbBr3

A relaxed Nd3SbBr3 crystal (PBE, Alexandria).

a = 7.4234 Å, b = 7.4234 Å, c = 32.6441 Å
α = 90.00°, β = 90.00°, γ = 120.00°
With the nearest neighbours (Å) after each atom.
Space group R-3 (No. 148, hexagonal axes)
Inequivalent atoms, fractional coordinates:
Nd  0.0000  0.3298  0.0541 [18 per cell]  2 Sb 3.05, 3 Br 3.06
Sb  0.0000  0.0000  0.3333 [6 per cell]  6 Nd 3.05
Br  0.0000  0.3364  0.8909 [18 per cell]  3 Nd 3.06

* formation energy (no corrections): -1.39 eV/atom
* size of the total moment: 0.0 Bohr magnetons per cell
* raw total energy: -199.0 eV for the cell shown

=====

[3]
# Tl2BiPd

A relaxed Tl2BiPd crystal (PBE, Alexandria).

a = 3.3539 Å, b = 3.3539 Å, c = 34.2067 Å
α = 90.00°, β = 90.00°, γ = 120.00°
With the nearest neighbours (Å) after each atom.
Space group R-3m (No. 166, hexagonal axes)
Inequivalent atoms, fractional coordinates:
Tl  0.0000  0.0000  0.0788 [6 per cell]  1 Pd 2.69
Bi  0.0000  0.0000  0.5000 [3 per cell]  6 Bi 3.35, 6 Tl 3.58
Pd  0.0000  0.0000  0.0000 [3 per cell]  2 Tl 2.69